'''
This record from the Materials Project describes a relaxed K3As2O11 crystal. The functional is GGA-PBE.

Space-group type = No. 29
DFT formation energy = -0.91 eV per atom
Total energy after the MP2020 corrections = -5.106 eV/atom

abc: 8.8960 11.4780 13.8980
angles: 90.00 90.00 90.00
Closest atoms and distances in Å follow each position.
Positions (direct):
O: 0.5226 0.8251 0.5292  1 O 1.24
K: 0.1646 0.6115 0.1838  3 O 2.58-2.89
K: 0.7434 0.6164 0.4625  2 O 2.70-2.82
O: 0.0725 0.3444 0.5229  1 O 1.25
O: 0.2398 0.4267 0.3595  1 As 1.65
O: 0.3175 0.1090 0.6615  1 As 1.69
O: 0.4557 0.9725 0.2998  2 As 1.85
O: 0.7630 0.3258 0.2168  1 As 1.67
O: 0.9360 0.6188 0.3119  3 K 2.55-2.70
O: 0.5085 0.9295 0.5510  1 O 1.24
O: 0.4774 0.1749 0.0292  1 O 1.24
O: 0.5443 0.0275 0.7998  2 As 1.85
O: 0.5443 0.4725 0.2998  2 As 1.85
O: 0.5226 0.6749 0.0292  1 O 1.24
O: 0.2370 0.8258 0.2168  1 As 1.67
O: 0.7630 0.1742 0.7168  1 As 1.67
O: 0.4915 0.0705 0.0510  1 O 1.24
O: 0.2610 0.8414 0.4262  1 As 1.66
O: 0.2398 0.0733 0.8595  1 As 1.65
O: 0.0287 0.4470 0.5144  1 O 1.25
O: 0.6825 0.8910 0.1615  1 As 1.69
O: 0.9275 0.8444 0.5229  1 O 1.25
As: 0.3382 0.6589 0.8175  3 O 1.66-1.85
O: 0.0640 0.1188 0.3119  3 K 2.55-2.70
K: 0.1646 0.8885 0.6838  3 O 2.58-2.89
As: 0.3680 0.1090 0.7785  4 O 1.65-1.85
O: 0.6825 0.6090 0.6615  1 As 1.69
K: 0.2703 0.4084 0.6862  3 O 2.55-2.73
O: 0.7390 0.3414 0.4262  1 As 1.66
K: 0.7434 0.8836 0.9625  2 O 2.70-2.82
K: 0.8354 0.3885 0.6838  3 O 2.58-2.89
O: 0.4915 0.4295 0.5510  1 O 1.24
O: 0.4798 0.2598 0.3072  2 As 1.85-1.87
O: 0.4774 0.3251 0.5292  1 O 1.24
O: 0.7602 0.9267 0.3595  1 As 1.65
O: 0.0725 0.1556 0.0229  1 O 1.25
O: 0.9360 0.8812 0.8119  3 K 2.55-2.70
O: 0.0640 0.3812 0.8119  3 K 2.55-2.70
O: 0.4557 0.5275 0.7998  2 As 1.85
K: 0.7297 0.5916 0.1862  3 O 2.55-2.73
O: 0.5202 0.7402 0.8072  2 As 1.85-1.87
K: 0.8354 0.1115 0.1838  3 O 2.58-2.89
O: 0.0287 0.0530 0.0144  1 O 1.25
K: 0.2566 0.1164 0.4625  2 O 2.70-2.82
K: 0.2703 0.0916 0.1862  3 O 2.55-2.73
O: 0.2370 0.6742 0.7168  1 As 1.67
K: 0.7297 0.9084 0.6862  3 O 2.55-2.73
O: 0.7390 0.1586 0.9262  1 As 1.66
As: 0.6618 0.1589 0.8175  3 O 1.66-1.85
O: 0.5085 0.5705 0.0510  1 O 1.24
O: 0.2610 0.6586 0.9262  1 As 1.66
O: 0.9713 0.9470 0.5144  1 O 1.25
As: 0.3382 0.8411 0.3175  3 O 1.66-1.85
O: 0.4798 0.2402 0.8072  2 As 1.85-1.87
K: 0.2566 0.3836 0.9625  2 O 2.70-2.82
O: 0.7602 0.5733 0.8595  1 As 1.65
As: 0.3680 0.3910 0.2785  4 O 1.65-1.85
O: 0.9713 0.5530 0.0144  1 O 1.25
O: 0.9275 0.6556 0.0229  1 O 1.25
As: 0.6320 0.8910 0.2785  4 O 1.65-1.85
As: 0.6320 0.6090 0.7785  4 O 1.65-1.85
As: 0.6618 0.3411 0.3175  3 O 1.66-1.85
O: 0.5202 0.7598 0.3072  2 As 1.85-1.87
O: 0.3175 0.3910 0.1615  1 As 1.69

=====

ErInAu: optimized geometry, r²SCAN.

Values from the calculation:
As for the formation energy: -857 meV/atom.

abc: 7.6252 7.6252 3.9829
angles: 90.00 90.00 120.00
Last column: nearest neighbours and their distance in Å.
Atoms (fractional coordinates):
Er 0.5957 0.0000 0.5000  5 Au 3.06-3.08, 6 In 3.24-3.36
Er 0.4043 0.4043 0.5000  5 Au 3.06-3.08, 6 In 3.24-3.36
Er 0.0000 0.5957 0.5000  5 Au 3.06-3.08, 6 In 3.24-3.36
In 0.0000 0.2605 0.0000  4 Au 2.81-2.86
In 0.7395 0.7395 0.0000  4 Au 2.81-2.86
In 0.2605 0.0000 0.0000  4 Au 2.81-2.86
Au 0.6667 0.3333 0.0000  3 In 2.86, 6 Er 3.06
Au 0.3333 0.6667 0.0000  3 In 2.86, 6 Er 3.06
Au 0.0000 0.0000 0.5000  6 In 2.81, 3 Er 3.08

=====

Entry 1:
Material: BiCNO
Method: DFT, GGA-PBE
State: relaxed

a b c (Å): 3.945 3.945 7.619
angles (deg): 90.00 90.00 90.00
Atoms (fractional coordinates):
C  0.500  0.000  0.548
C  0.000  0.500  0.452
Bi  0.000  0.500  0.836
Bi  0.500  0.000  0.164
N  0.000  0.500  0.296
N  0.500  0.000  0.704
O  0.000  0.000  0.000
O  0.500  0.500  0.000

Summary:
SG = No. 129
energy relative to the elements = -1.2 eV/f.u.



Entry 2:
Material: BS4N4F3
Method: DFT, GGA-PBE
State: relaxed

a b c (Å): 10.917 7.496 12.867
angles (deg): 59.23 90.00 90.00
Atoms (fractional coordinates):
N  0.040  0.239  0.832
'''

Please work out how many lines further up have the word "their" in them; a number is enough.

1